Exercise:
Next, search the contents further down for the word "corrections" and repeat each line that has it.

Material:
-- begin --
## Na3Ag2Sn3 (PBE)

Data for a geometry-optimized Na3Ag2Sn3 structure.

Unit cell a=4.857 b=6.019 c=15.468 alpha=90.00 beta=90.00 gamma=113.80
Element x y z (fractional)
Na  0.925  0.851  0.388
Na  0.075  0.149  0.888
Na  0.925  0.851  0.112
Na  0.075  0.149  0.612
Na  0.665  0.329  0.250
Na  0.335  0.671  0.750
Ag  0.780  0.560  0.895
Ag  0.220  0.440  0.395
Ag  0.780  0.560  0.605
Ag  0.220  0.440  0.105
Sn  0.618  0.237  0.454
Sn  0.382  0.763  0.954
Sn  0.618  0.237  0.046
Sn  0.382  0.763  0.546
Sn  0.374  0.749  0.250
Sn  0.626  0.251  0.750

Results
Total DFT energy (no corrections) in eV per atom: -2.816

* * * * *

Lu2PuGe after structural relaxation. Source: Alexandria via LeMat-Bulk, functional PBE-GGA.

Unit cell a=3.485 b=3.485 c=29.756 alpha=90.00 beta=90.00 gamma=120.00
Fractional coordinates of all 12 atoms:
Lu: 0.000 0.000 0.237
Lu: 0.000 0.000 0.763
Lu: 0.333 0.667 0.429
Lu: 0.333 0.667 0.904
Lu: 0.667 0.333 0.096
Lu: 0.667 0.333 0.571
Pu: 0.000 0.000 0.000
Pu: 0.333 0.667 0.667
Pu: 0.667 0.333 0.333
Ge: 0.000 0.000 0.500
Ge: 0.333 0.667 0.167
Ge: 0.667 0.333 0.833

Output
Total DFT energy (no corrections): -7.149 eV per atom
Formation energy from the elements: -152 meV per atom
Spin magnetization: 1.692 μB per atom
Crystal system: trigonal

* * * * *

Here is a geometry-optimized Zr2TaIn structure from Alexandria via LeMat-Bulk. Energies are from GGA-PBE.

Calculated values
* theoretical density: 9.3 g/cm3
* calculated volume: 85 Å³ per cell
* density of states at the Fermi level: 4.38 states/eV/f.u.
* space group: Cmmm (65)

a b c (Å): 5.3961 5.3961 3.0897
angles (deg): 90.02 90.02 108.78
Positions (direct):
In: 0.5000 0.0000 0.5000
Ta: 0.0000 0.5000 0.5000
Zr: 0.0000 0.0000 0.0000
Zr: 0.5000 0.5000 0.0000

Here is a geometry-optimized Zr2TaIn structure from Alexandria via LeMat-Bulk. Energies are from GGA-PBE.

Calculated values
* theoretical density: 9.3 g/cm3
* calculated volume: 85 Å³ per cell
* density of states at the Fermi level: 4.93 states/eV/f.u.
* space group: P4mm (99)

a b c (Å): 3.6256 3.6256 6.4900
angles (deg): 90.00 90.00 90.00
Positions (direct):
In: 0.0000 0.0000 0.5100
Ta: 0.5000 0.5000 0.7581
Zr: 0.0000 0.0000 0.9843
Zr: 0.5000 0.5000 0.2477

| no. | energy relative to the elements (eV/atom) |
| --- | --- |
| 1 | -0.03 |
| 2 | 0.02 |
-- stop --

Done:
Total DFT energy (no corrections) in eV per atom: -2.816
Total DFT energy (no corrections): -7.149 eV per atom